**Contents:**
~~~
# 1
# LaPrSi2Au2

Crystalline LaPrSi2Au2 at its relaxed geometry (PBE, OQMD).

CIF file:
```
data_LaPrSi2Au2
_cell_length_a 4.3743
_cell_length_b 4.3743
_cell_length_c 8.3919
_cell_angle_alpha 90.00
_cell_angle_beta 90.00
_cell_angle_gamma 120.00
_symmetry_space_group_name_H-M 'P -3 m 1'
_symmetry_Int_Tables_number 164
_symmetry_space_group_name_Hall '-P 3 2"'
loop_
_atom_site_label
_atom_site_fract_x
_atom_site_fract_y
_atom_site_fract_z
La1 0.0000 0.0000 0.0000
Pr1 0.0000 0.0000 0.5000
Si1 0.3333 0.6667 0.7479
Au1 0.3333 0.6667 0.2534
```

Calculated values
Calculated total energy (eV per formula unit): -32.08

# 2
# LaPuAl

Crystalline LaPuAl at its relaxed geometry (PBE, OQMD).

CIF file:
```
data_LaPuAl
_cell_length_a 7.0678
_cell_length_b 7.0678
_cell_length_c 7.0678
_cell_angle_alpha 90.00
_cell_angle_beta 90.00
_cell_angle_gamma 90.00
_symmetry_space_group_name_H-M 'F -4 3 m'
_symmetry_Int_Tables_number 216
_symmetry_space_group_name_Hall 'F -4 2 3'
loop_
_atom_site_label
_atom_site_fract_x
_atom_site_fract_y
_atom_site_fract_z
La1 0.0000 0.0000 0.0000
Pu1 0.2500 0.2500 0.7500
Al1 0.0000 0.0000 0.5000
```

Calculated values
Calculated total energy (eV per formula unit): -22.07
Energy above the lowest structure with this stoichiometry (meV per atom): 0.0

# 3
# KRbZn2BiP

Crystalline KRbZn2BiP at its relaxed geometry (PBE, OQMD).

CIF file:
```
data_KRbZn2BiP
_cell_length_a 4.4694
_cell_length_b 4.4694
_cell_length_c 10.7559
_cell_angle_alpha 90.00
_cell_angle_beta 90.00
_cell_angle_gamma 120.00
_symmetry_space_group_name_H-M 'P 3 m 1'
_symmetry_Int_Tables_number 156
_symmetry_space_group_name_Hall 'P 3 -2"'
loop_
_atom_site_label
_atom_site_fract_x
_atom_site_fract_y
_atom_site_fract_z
K1 0.0000 0.0000 0.0000
Rb1 0.0000 0.0000 0.5356
Zn1 0.3333 0.6667 0.2607
Zn2 0.6667 0.3333 0.7763
Bi1 0.6667 0.3333 0.2591
P1 0.3333 0.6667 0.7743
```

Calculated values
Calculated total energy (eV per formula unit): -15.70

# 4
# LiCdAs

Crystalline LiCdAs at its relaxed geometry (PBE, OQMD).

CIF file:
```
data_LiCdAs
_cell_length_a 7.0392
_cell_length_b 4.2374
_cell_length_c 8.1137
_cell_angle_alpha 90.00
_cell_angle_beta 90.00
_cell_angle_gamma 90.00
_symmetry_space_group_name_H-M 'P n m a'
_symmetry_Int_Tables_number 62
_symmetry_space_group_name_Hall '-P 2ac 2n'
loop_
_atom_site_label
_atom_site_fract_x
_atom_site_fract_y
_atom_site_fract_z
Li1 0.0154 0.2500 0.1521
Cd1 0.1429 0.2500 0.5727
As1 0.2426 0.2500 0.8904
```

Calculated values
Calculated total energy (eV per formula unit): -8.64

# 5
# ZrGa2Ni3

Crystalline ZrGa2Ni3 at its relaxed geometry (PBE, OQMD).

CIF file:
```
data_ZrGa2Ni3
_cell_length_a 4.0942
_cell_length_b 4.0942
_cell_length_c 11.5444
_cell_angle_alpha 90.00
_cell_angle_beta 90.00
_cell_angle_gamma 120.00
_symmetry_space_group_name_H-M 'P 63/m m c'
_symmetry_Int_Tables_number 194
_symmetry_space_group_name_Hall '-P 6c 2c'
loop_
_atom_site_label
_atom_site_fract_x
_atom_site_fract_y
_atom_site_fract_z
Zr1 0.0000 0.0000 0.2500
Ga1 0.3333 0.6667 0.0840
Ni1 0.0000 0.0000 0.0000
Ni2 0.3333 0.6667 0.6337
```

Calculated values
Calculated total energy (eV per formula unit): -34.48

# 6
# GdMgZn

Crystalline GdMgZn at its relaxed geometry (PBE, OQMD).

CIF file:
```
data_GdMgZn
_cell_length_a 6.2606
_cell_length_b 6.3356
_cell_length_c 7.8979
_cell_angle_alpha 87.39
_cell_angle_beta 87.65
_cell_angle_gamma 63.49
_symmetry_space_group_name_H-M 'P 1'
_symmetry_Int_Tables_number 1
_symmetry_space_group_name_Hall 'P 1'
loop_
_atom_site_label
_atom_site_fract_x
_atom_site_fract_y
_atom_site_fract_z
Gd1 0.0000 0.0000 0.0000
Gd2 0.1525 0.1707 0.3918
Gd3 0.4244 0.4394 0.0355
Gd4 0.6612 0.8239 0.7103
Mg1 0.2121 0.7108 0.6518
Mg2 0.5815 0.6230 0.3639
Mg3 0.7126 0.2944 0.6683
Mg4 0.8959 0.5311 0.0551
Zn1 0.0535 0.6991 0.3345
Zn2 0.1669 0.2995 0.7622
Zn3 0.4869 0.9524 0.0803
Zn4 0.6758 0.1051 0.3441
```

Calculated values
Calculated total energy (eV per formula unit): -7.89

# 7
# PuUFeNi
~~~
**Job:**
What is needed: print only the last part of the contents further up, starting with the line that has "Crystalline LaPuAl".
**Written answer:**
Crystalline LaPuAl at its relaxed geometry (PBE, OQMD).

CIF file:
```
data_LaPuAl
_cell_length_a 7.0678
_cell_length_b 7.0678
_cell_length_c 7.0678
_cell_angle_alpha 90.00
_cell_angle_beta 90.00
_cell_angle_gamma 90.00
_symmetry_space_group_name_H-M 'F -4 3 m'
_symmetry_Int_Tables_number 216
_symmetry_space_group_name_Hall 'F -4 2 3'
loop_
_atom_site_label
_atom_site_fract_x
_atom_site_fract_y
_atom_site_fract_z
La1 0.0000 0.0000 0.0000
Pu1 0.2500 0.2500 0.7500
Al1 0.0000 0.0000 0.5000
```

Calculated values
Calculated total energy (eV per formula unit): -22.07
Energy above the lowest structure with this stoichiometry (meV per atom): 0.0

# 3
# KRbZn2BiP

Crystalline KRbZn2BiP at its relaxed geometry (PBE, OQMD).

CIF file:
```
data_KRbZn2BiP
_cell_length_a 4.4694
_cell_length_b 4.4694
_cell_length_c 10.7559
_cell_angle_alpha 90.00
_cell_angle_beta 90.00
_cell_angle_gamma 120.00
_symmetry_space_group_name_H-M 'P 3 m 1'
_symmetry_Int_Tables_number 156
_symmetry_space_group_name_Hall 'P 3 -2"'
loop_
_atom_site_label
_atom_site_fract_x
_atom_site_fract_y
_atom_site_fract_z
K1 0.0000 0.0000 0.0000
Rb1 0.0000 0.0000 0.5356
Zn1 0.3333 0.6667 0.2607
Zn2 0.6667 0.3333 0.7763
Bi1 0.6667 0.3333 0.2591
P1 0.3333 0.6667 0.7743
```

Calculated values
Calculated total energy (eV per formula unit): -15.70

# 4
# LiCdAs

Crystalline LiCdAs at its relaxed geometry (PBE, OQMD).

CIF file:
```
data_LiCdAs
_cell_length_a 7.0392
_cell_length_b 4.2374
_cell_length_c 8.1137
_cell_angle_alpha 90.00
_cell_angle_beta 90.00
_cell_angle_gamma 90.00
_symmetry_space_group_name_H-M 'P n m a'
_symmetry_Int_Tables_number 62
_symmetry_space_group_name_Hall '-P 2ac 2n'
loop_
_atom_site_label
_atom_site_fract_x
_atom_site_fract_y
_atom_site_fract_z
Li1 0.0154 0.2500 0.1521
Cd1 0.1429 0.2500 0.5727
As1 0.2426 0.2500 0.8904
```

Calculated values
Calculated total energy (eV per formula unit): -8.64

# 5
# ZrGa2Ni3

Crystalline ZrGa2Ni3 at its relaxed geometry (PBE, OQMD).

CIF file:
```
data_ZrGa2Ni3
_cell_length_a 4.0942
_cell_length_b 4.0942
_cell_length_c 11.5444
_cell_angle_alpha 90.00
_cell_angle_beta 90.00
_cell_angle_gamma 120.00
_symmetry_space_group_name_H-M 'P 63/m m c'
_symmetry_Int_Tables_number 194
_symmetry_space_group_name_Hall '-P 6c 2c'
loop_
_atom_site_label
_atom_site_fract_x
_atom_site_fract_y
_atom_site_fract_z
Zr1 0.0000 0.0000 0.2500
Ga1 0.3333 0.6667 0.0840
Ni1 0.0000 0.0000 0.0000
Ni2 0.3333 0.6667 0.6337
```

Calculated values
Calculated total energy (eV per formula unit): -34.48

# 6
# GdMgZn

Crystalline GdMgZn at its relaxed geometry (PBE, OQMD).

CIF file:
```
data_GdMgZn
_cell_length_a 6.2606
_cell_length_b 6.3356
_cell_length_c 7.8979
_cell_angle_alpha 87.39
_cell_angle_beta 87.65
_cell_angle_gamma 63.49
_symmetry_space_group_name_H-M 'P 1'
_symmetry_Int_Tables_number 1
_symmetry_space_group_name_Hall 'P 1'
loop_
_atom_site_label
_atom_site_fract_x
_atom_site_fract_y
_atom_site_fract_z
Gd1 0.0000 0.0000 0.0000
Gd2 0.1525 0.1707 0.3918
Gd3 0.4244 0.4394 0.0355
Gd4 0.6612 0.8239 0.7103
Mg1 0.2121 0.7108 0.6518
Mg2 0.5815 0.6230 0.3639
Mg3 0.7126 0.2944 0.6683
Mg4 0.8959 0.5311 0.0551
Zn1 0.0535 0.6991 0.3345
Zn2 0.1669 0.2995 0.7622
Zn3 0.4869 0.9524 0.0803
Zn4 0.6758 0.1051 0.3441
```

Calculated values
Calculated total energy (eV per formula unit): -7.89

# 7
# PuUFeNi